## Excerpt
# 1
Computed, not measured: a single C4H5NO molecule in a non-equilibrium geometry, with ωB97M-V with the def2-TZVPD basis set.

Atoms and positions in Å:
H  -0.7008  1.0999  0.1476
O  0.3786  0.5615  -1.8700
H  -1.6234  0.0676  1.2497
H  0.2009  -1.4426  -2.1643
C  1.3084  0.9500  1.3717
H  -0.5927  -1.8166  -0.0624
C  0.5054  0.0652  1.5995
C  0.0385  -0.5537  -1.5294
C  -0.7088  0.1373  0.6716
H  1.8088  1.7859  0.9505
N  -0.6148  -0.8545  -0.3645

Atoms 1-6, force components in eV/Å:
H -0.21 -0.32 0.25
O -0.15 -0.38 0.19
H -0.21 -0.30 -0.13
H 0.01 0.08 0.08
C 0.31 -0.16 0.30
H -0.07 -0.03 -0.19

Results
* net charge: 0
* HOMO: -10.0 eV
* structure (SMILES): C#CCNC=O
* Kohn-Sham gap: 10.26 eV

# 2
Computed, not measured: 9 unconnected molecules or ions with the total composition H18O9 in a non-equilibrium geometry, with ωB97M-V with the def2-TZVPD basis set.

Atoms and positions in Å:
O  0.4751  0.0024  -1.8904
H  -1.6517  -1.0545  0.0166
H  -2.6013  -0.1914  -2.5060
O  -0.3660  1.5063  0.7192
H  1.4873  -0.9921  1.9581
H  -1.2781  -0.1357  -1.7527
H  -0.5659  1.6638  1.6341
H  0.8701  -3.3155  -1.2351
O  1.2304  -2.3619  -1.1181
H  0.6625  -0.9022  -1.7511
H  2.6872  1.7986  0.5339
H  -0.6951  -0.3049  1.8615
H  -1.4690  3.4302  -1.7371
O  -2.2325  0.0889  -1.7282
O  -0.1814  0.0658  2.6632
H  -0.4577  -1.9707  0.0754
O  -1.1158  -1.5499  0.6558
H  -2.3446  2.0720  -1.4745
H  -0.3474  -0.6820  3.2564
O  -2.0647  2.9266  -1.1322
H  -1.0708  1.8361  0.1716
H  2.7205  -0.7043  1.1239
H  1.6613  -2.1817  -0.2681
H  0.4998  0.5116  -1.0231
O  2.2359  -1.4652  1.4831
H  1.5103  1.0060  0.9219
O  2.4016  0.9036  0.5419

Atoms 1-6, force components in eV/Å:
O -1.21 3.38 0.64
H -0.26 -0.01 0.18
H -1.40 -1.17 -3.02
O 0.89 -0.23 -0.76
H 1.05 -0.85 -0.65
H 0.26 0.43 -0.57

Results
* net charge: 0
* HOMO: -11.2 eV
* structure (SMILES): O.O.O.O.O.O.O.O.O
* Kohn-Sham gap: 11.53 eV

# 3
Computed, not measured: a molecular structure, CHClFNO2 in a non-equilibrium geometry, with ωB97M-V with the def2-TZVPD basis set.

Atoms and positions in Å:
F  0.1971  -0.4859  -1.7165
O  2.5825  0.0810  -0.9386
N  1.9631  -0.1922  0.0276
Cl  -0.2060  -2.2177  0.1904
H  -0.2784  0.1380  0.2056
O  2.2087  -0.2659  1.1796
C  0.1688  -0.6177  -0.3352

Atoms 1-6, force components in eV/Å:
F -0.69 -0.12 2.35
O 0.98 0.36 -0.23
N -4.31 -1.44 -1.09
Cl 0.17 0.55 -0.17
H -1.36 1.56 0.69
O 1.04 0.22 1.17

Results
* net charge: 0
* HOMO: -10.4 eV
* Kohn-Sham gap: 10.87 eV

# 4
Computed, not measured: a molecular structure, C16H16CoN4O3S in a non-equilibrium geometry, with ωB97M-V with the def2-TZVPD basis set.

Atoms and positions in Å:
C  -3.0467  -2.6988  -4.0408
H  -1.4568  -4.1276  -3.9836
C  2.6601  -0.6461  -1.2843
H  4.5467  -1.4649  -1.0160
C  -1.8558  -3.2219  -3.5545
H  0.7819  -3.6439  -2.6111
H  -4.3658  -1.0035  -3.9931
H  -3.6282  -3.2534  -4.7488
H  2.4403  0.2966  2.1141
C  0.2438  -2.8073  -2.1629
H  -3.4587  1.6448  2.0789
Co  -0.2227  -0.3763  -1.0472
C  -0.8298  2.2563  2.7762
H  4.5051  2.2477  4.4097
N  2.1445  -1.9163  -1.3417
H  3.9147  0.6195  3.9360
C  -0.7719  1.3344  1.6805
H  -1.7390  2.8199  2.9426
N  -1.5282  -1.2584  -2.3149
C  -1.1338  -2.4478  -2.6684
C  -2.6433  -0.7283  -2.7797
O  0.5021  -0.4110  0.7203
C  1.5400  0.8431  2.3508
C  3.7979  1.6943  3.7943
C  -1.8101  1.2042  0.7345
H  -2.9191  0.2447  -2.3736
N  0.8661  -1.8863  -1.6232
C  -3.2408  1.5468  1.0179
C  -3.4443  -1.4414  -3.6519
N  4.0001  -0.6186  -0.9694
H  -3.8615  0.7773  0.5547
H  4.0035  1.8769  2.7385
S  1.8469  0.7803  -1.6215
O  2.4889  2.1523  4.1344
O  -1.6139  0.8072  -0.4187
C  0.2457  2.4921  3.5793
H  0.2163  3.2231  4.3711
H  4.4859  0.2449  -1.1090
C  0.4112  0.5636  1.5169
H  -3.5310  2.4903  0.5391
C  1.4595  1.7914  3.3245

Atoms 1-6, force components in eV/Å:
C 0.60 -0.32 0.03
H 0.01 -0.26 0.35
C 0.86 -2.48 0.27
H -0.33 -0.04 0.01
C -0.43 0.09 -0.68
H -0.25 -0.28 0.33

Results
* net charge: 0
* expectation value of S²: 3.7627

## Work order
Copy the part of the block further above that starts with the line with "0.01 0.08" and stops after the one with "0.0810".

## Done
H 0.01 0.08 0.08
C 0.31 -0.16 0.30
H -0.07 -0.03 -0.19

Results
* net charge: 0
* HOMO: -10.0 eV
* structure (SMILES): C#CCNC=O
* Kohn-Sham gap: 10.26 eV

# 2
Computed, not measured: 9 unconnected molecules or ions with the total composition H18O9 in a non-equilibrium geometry, with ωB97M-V with the def2-TZVPD basis set.

Atoms and positions in Å:
O  0.4751  0.0024  -1.8904
H  -1.6517  -1.0545  0.0166
H  -2.6013  -0.1914  -2.5060
O  -0.3660  1.5063  0.7192
H  1.4873  -0.9921  1.9581
H  -1.2781  -0.1357  -1.7527
H  -0.5659  1.6638  1.6341
H  0.8701  -3.3155  -1.2351
O  1.2304  -2.3619  -1.1181
H  0.6625  -0.9022  -1.7511
H  2.6872  1.7986  0.5339
H  -0.6951  -0.3049  1.8615
H  -1.4690  3.4302  -1.7371
O  -2.2325  0.0889  -1.7282
O  -0.1814  0.0658  2.6632
H  -0.4577  -1.9707  0.0754
O  -1.1158  -1.5499  0.6558
H  -2.3446  2.0720  -1.4745
H  -0.3474  -0.6820  3.2564
O  -2.0647  2.9266  -1.1322
H  -1.0708  1.8361  0.1716
H  2.7205  -0.7043  1.1239
H  1.6613  -2.1817  -0.2681
H  0.4998  0.5116  -1.0231
O  2.2359  -1.4652  1.4831
H  1.5103  1.0060  0.9219
O  2.4016  0.9036  0.5419

Atoms 1-6, force components in eV/Å:
O -1.21 3.38 0.64
H -0.26 -0.01 0.18
H -1.40 -1.17 -3.02
O 0.89 -0.23 -0.76
H 1.05 -0.85 -0.65
H 0.26 0.43 -0.57

Results
* net charge: 0
* HOMO: -11.2 eV
* structure (SMILES): O.O.O.O.O.O.O.O.O
* Kohn-Sham gap: 11.53 eV

# 3
Computed, not measured: a molecular structure, CHClFNO2 in a non-equilibrium geometry, with ωB97M-V with the def2-TZVPD basis set.

Atoms and positions in Å:
F  0.1971  -0.4859  -1.7165
O  2.5825  0.0810  -0.9386